Request:
Could you transcribe all of the calculation results below unchanged?

Listing:
- - -
Record 1
80
Properties=species:S:1:pos:R:3:forces:R:3:mulliken_charge:R:1 method="wB97M-V/def2-TZVPD" spin_multiplicity=2 homo_lumo_gap_ev="6.518 / 6.571" s2=0.79 total_energy_ha=-8253.77729 charge=+1 homo_energy_ev="-10.024 / -10.113"
Mn -0.255 -0.474 0.197 -0.310 -0.678 -0.053 -1.10
Cl -2.911 4.830 -4.009 -0.012 0.007 -0.023 -0.22
C -2.484 3.681 -2.784 0.044 -0.040 -0.023 -0.07
C -2.945 3.872 -1.468 -0.021 -0.001 0.004 -0.61
C -2.598 2.998 -0.478 0.053 -0.029 -0.041 -0.98
C -1.751 1.878 -0.721 -0.068 0.052 0.018 -0.21
O -1.395 1.148 0.279 0.335 -0.048 -0.138 0.01
C -1.367 1.652 -2.080 0.040 -0.053 0.001 0.89
C -0.712 0.472 -2.536 -0.021 -0.002 0.129 -0.24
N -0.373 -0.544 -1.798 0.069 0.050 -0.020 1.62
C 0.148 -1.719 -2.387 0.032 -0.008 -0.020 0.51
C 0.223 -2.018 -3.724 0.020 -0.009 0.081 -0.74
C 0.807 -3.226 -4.159 0.002 -0.003 0.008 -0.93
C 1.290 -4.141 -3.268 0.014 0.010 0.006 -0.98
C 1.189 -3.888 -1.881 -0.031 -0.016 -0.008 1.02
C 1.631 -4.794 -0.891 0.010 0.022 0.028 -0.92
C 1.486 -4.475 0.429 -0.025 0.014 -0.042 -1.18
C 0.900 -3.241 0.767 -0.017 -0.002 -0.035 -0.33
N 0.476 -2.375 -0.124 0.351 -0.047 0.041 0.73
C 0.613 -2.679 -1.447 -0.087 -0.011 -0.072 -0.03
C -1.727 2.590 -3.083 -0.050 0.068 0.061 -1.32
H -3.578 4.722 -1.251 0.005 0.011 0.007 0.45
H -2.946 3.149 0.535 0.000 0.005 0.015 0.37
H -0.522 0.437 -3.607 -0.029 -0.035 -0.012 0.11
H -0.164 -1.340 -4.472 0.010 0.019 -0.001 0.48
H 0.865 -3.420 -5.222 0.010 -0.014 -0.003 0.45
H 1.743 -5.064 -3.604 -0.016 -0.011 -0.024 0.47
H 2.079 -5.731 -1.193 0.004 -0.013 0.006 0.49
H 1.808 -5.142 1.215 0.005 -0.015 -0.001 0.48
H 0.788 -2.958 1.808 0.026 0.027 0.004 0.53
H -1.407 2.421 -4.104 0.003 -0.004 -0.015 0.49
Br 5.296 -1.331 -4.474 0.008 0.006 -0.001 -0.15
C 4.276 -0.913 -2.944 -0.013 0.000 0.013 -0.06
C 3.374 0.141 -2.991 -0.004 0.005 -0.014 -0.62
C 2.582 0.409 -1.889 0.126 -0.015 0.051 -0.22
C 2.711 -0.363 -0.740 -0.031 0.178 -0.083 -0.20
C 3.644 -1.392 -0.685 -0.044 0.008 -0.093 -0.45
C 4.426 -1.673 -1.795 0.016 -0.012 -0.013 -0.72
N 1.809 -0.137 0.333 0.032 0.120 0.301 0.71
C 2.258 -0.117 1.530 -0.002 0.105 -0.098 -0.99
C 1.289 -0.023 2.610 -0.060 -0.034 0.013 0.52
C 1.642 0.246 3.924 -0.128 0.019 -0.064 -0.97
C 0.628 0.417 4.853 0.060 0.016 0.000 -0.67
C -0.687 0.336 4.427 -0.058 0.002 -0.001 -0.94
C -0.955 0.057 3.095 0.082 0.030 0.016 -0.37
N 0.012 -0.158 2.203 -0.085 -0.037 0.058 1.69
H 3.287 0.739 -3.888 0.003 0.003 -0.001 0.50
H 1.870 1.223 -1.905 -0.014 0.016 0.012 0.51
H 3.726 -2.011 0.200 -0.023 0.005 0.020 0.50
H 5.135 -2.488 -1.772 0.006 -0.003 -0.001 0.46
H 3.320 -0.142 1.764 0.031 -0.022 -0.088 0.63
H 2.683 0.347 4.198 0.017 -0.027 -0.013 0.59
H 0.863 0.634 5.886 -0.015 -0.007 0.012 0.45
H -1.509 0.492 5.112 0.001 0.020 0.012 0.48
H -1.968 0.021 2.718 -0.006 -0.011 0.013 0.53
N -7.081 -3.255 1.280 -0.028 -0.008 0.009 -0.43
C -6.009 -2.887 1.097 -0.044 -0.012 0.001 -0.26
C -4.666 -2.431 0.870 0.034 0.011 -0.004 0.59
C -4.360 -1.656 -0.242 0.046 -0.038 0.014 -0.96
C -3.055 -1.234 -0.411 -0.017 -0.106 0.075 -0.26
N -2.068 -1.544 0.441 -0.521 0.553 0.047 0.90
C -2.378 -2.297 1.500 0.179 -0.192 -0.050 -0.25
C -3.652 -2.763 1.759 0.008 -0.010 -0.069 -0.93
H -5.121 -1.380 -0.957 -0.009 0.001 -0.004 0.57
H -2.786 -0.625 -1.261 0.006 0.057 0.001 0.41
H -1.562 -2.547 2.165 -0.010 0.047 0.037 0.41
H -3.850 -3.369 2.631 0.002 -0.009 0.005 0.55
C -0.794 3.618 2.780 0.012 0.007 -0.037 -1.10
As 0.790 3.287 1.666 0.156 0.121 0.052 0.57
C 0.576 4.771 0.403 -0.036 -0.040 -0.011 -1.12
C 2.073 4.183 2.857 -0.016 0.013 -0.025 -1.28
H -1.042 4.679 2.799 0.007 0.008 -0.001 0.46
H -0.580 3.290 3.797 -0.011 -0.019 0.004 0.43
H -1.637 3.048 2.396 -0.013 -0.004 0.014 0.12
H 0.439 5.713 0.933 -0.005 -0.003 0.003 0.40
H -0.288 4.588 -0.236 0.011 0.001 -0.006 0.22
H 1.463 4.838 -0.226 0.002 0.009 0.010 0.37
H 1.711 5.164 3.164 -0.005 0.001 -0.006 0.40
H 3.027 4.302 2.343 0.003 0.002 0.007 0.40
H 2.232 3.572 3.746 0.007 0.001 0.004 0.30

=====

Record 2
8
- - -

Here it is:
Record 1
80
Properties=species:S:1:pos:R:3:forces:R:3:mulliken_charge:R:1 method="wB97M-V/def2-TZVPD" spin_multiplicity=2 homo_lumo_gap_ev="6.518 / 6.571" s2=0.79 total_energy_ha=-8253.77729 charge=+1 homo_energy_ev="-10.024 / -10.113"
Mn -0.255 -0.474 0.197 -0.310 -0.678 -0.053 -1.10
Cl -2.911 4.830 -4.009 -0.012 0.007 -0.023 -0.22
C -2.484 3.681 -2.784 0.044 -0.040 -0.023 -0.07
C -2.945 3.872 -1.468 -0.021 -0.001 0.004 -0.61
C -2.598 2.998 -0.478 0.053 -0.029 -0.041 -0.98
C -1.751 1.878 -0.721 -0.068 0.052 0.018 -0.21
O -1.395 1.148 0.279 0.335 -0.048 -0.138 0.01
C -1.367 1.652 -2.080 0.040 -0.053 0.001 0.89
C -0.712 0.472 -2.536 -0.021 -0.002 0.129 -0.24
N -0.373 -0.544 -1.798 0.069 0.050 -0.020 1.62
C 0.148 -1.719 -2.387 0.032 -0.008 -0.020 0.51
C 0.223 -2.018 -3.724 0.020 -0.009 0.081 -0.74
C 0.807 -3.226 -4.159 0.002 -0.003 0.008 -0.93
C 1.290 -4.141 -3.268 0.014 0.010 0.006 -0.98
C 1.189 -3.888 -1.881 -0.031 -0.016 -0.008 1.02
C 1.631 -4.794 -0.891 0.010 0.022 0.028 -0.92
C 1.486 -4.475 0.429 -0.025 0.014 -0.042 -1.18
C 0.900 -3.241 0.767 -0.017 -0.002 -0.035 -0.33
N 0.476 -2.375 -0.124 0.351 -0.047 0.041 0.73
C 0.613 -2.679 -1.447 -0.087 -0.011 -0.072 -0.03
C -1.727 2.590 -3.083 -0.050 0.068 0.061 -1.32
H -3.578 4.722 -1.251 0.005 0.011 0.007 0.45
H -2.946 3.149 0.535 0.000 0.005 0.015 0.37
H -0.522 0.437 -3.607 -0.029 -0.035 -0.012 0.11
H -0.164 -1.340 -4.472 0.010 0.019 -0.001 0.48
H 0.865 -3.420 -5.222 0.010 -0.014 -0.003 0.45
H 1.743 -5.064 -3.604 -0.016 -0.011 -0.024 0.47
H 2.079 -5.731 -1.193 0.004 -0.013 0.006 0.49
H 1.808 -5.142 1.215 0.005 -0.015 -0.001 0.48
H 0.788 -2.958 1.808 0.026 0.027 0.004 0.53
H -1.407 2.421 -4.104 0.003 -0.004 -0.015 0.49
Br 5.296 -1.331 -4.474 0.008 0.006 -0.001 -0.15
C 4.276 -0.913 -2.944 -0.013 0.000 0.013 -0.06
C 3.374 0.141 -2.991 -0.004 0.005 -0.014 -0.62
C 2.582 0.409 -1.889 0.126 -0.015 0.051 -0.22
C 2.711 -0.363 -0.740 -0.031 0.178 -0.083 -0.20
C 3.644 -1.392 -0.685 -0.044 0.008 -0.093 -0.45
C 4.426 -1.673 -1.795 0.016 -0.012 -0.013 -0.72
N 1.809 -0.137 0.333 0.032 0.120 0.301 0.71
C 2.258 -0.117 1.530 -0.002 0.105 -0.098 -0.99
C 1.289 -0.023 2.610 -0.060 -0.034 0.013 0.52
C 1.642 0.246 3.924 -0.128 0.019 -0.064 -0.97
C 0.628 0.417 4.853 0.060 0.016 0.000 -0.67
C -0.687 0.336 4.427 -0.058 0.002 -0.001 -0.94
C -0.955 0.057 3.095 0.082 0.030 0.016 -0.37
N 0.012 -0.158 2.203 -0.085 -0.037 0.058 1.69
H 3.287 0.739 -3.888 0.003 0.003 -0.001 0.50
H 1.870 1.223 -1.905 -0.014 0.016 0.012 0.51
H 3.726 -2.011 0.200 -0.023 0.005 0.020 0.50
H 5.135 -2.488 -1.772 0.006 -0.003 -0.001 0.46
H 3.320 -0.142 1.764 0.031 -0.022 -0.088 0.63
H 2.683 0.347 4.198 0.017 -0.027 -0.013 0.59
H 0.863 0.634 5.886 -0.015 -0.007 0.012 0.45
H -1.509 0.492 5.112 0.001 0.020 0.012 0.48
H -1.968 0.021 2.718 -0.006 -0.011 0.013 0.53
N -7.081 -3.255 1.280 -0.028 -0.008 0.009 -0.43
C -6.009 -2.887 1.097 -0.044 -0.012 0.001 -0.26
C -4.666 -2.431 0.870 0.034 0.011 -0.004 0.59
C -4.360 -1.656 -0.242 0.046 -0.038 0.014 -0.96
C -3.055 -1.234 -0.411 -0.017 -0.106 0.075 -0.26
N -2.068 -1.544 0.441 -0.521 0.553 0.047 0.90
C -2.378 -2.297 1.500 0.179 -0.192 -0.050 -0.25
C -3.652 -2.763 1.759 0.008 -0.010 -0.069 -0.93
H -5.121 -1.380 -0.957 -0.009 0.001 -0.004 0.57
H -2.786 -0.625 -1.261 0.006 0.057 0.001 0.41
H -1.562 -2.547 2.165 -0.010 0.047 0.037 0.41
H -3.850 -3.369 2.631 0.002 -0.009 0.005 0.55
C -0.794 3.618 2.780 0.012 0.007 -0.037 -1.10
As 0.790 3.287 1.666 0.156 0.121 0.052 0.57
C 0.576 4.771 0.403 -0.036 -0.040 -0.011 -1.12
C 2.073 4.183 2.857 -0.016 0.013 -0.025 -1.28
H -1.042 4.679 2.799 0.007 0.008 -0.001 0.46
H -0.580 3.290 3.797 -0.011 -0.019 0.004 0.43
H -1.637 3.048 2.396 -0.013 -0.004 0.014 0.12
H 0.439 5.713 0.933 -0.005 -0.003 0.003 0.40
H -0.288 4.588 -0.236 0.011 0.001 -0.006 0.22
H 1.463 4.838 -0.226 0.002 0.009 0.010 0.37
H 1.711 5.164 3.164 -0.005 0.001 -0.006 0.40
H 3.027 4.302 2.343 0.003 0.002 0.007 0.40
H 2.232 3.572 3.746 0.007 0.001 0.004 0.30

=====

Record 2
8